Listing:
-- begin --
Record 1
The following is a DFT calculation (ωB97M-V/def2-TZVPD) of a structure of composition C20H24BrNOOsP2.

Geometry as XYZ:
```
50
Properties=species:S:1:pos:R:3:forces:R:3
C 3.6346 -0.3600 1.6562 -1.3 1.6 -0.2
C 2.4614 0.0911 1.0587 0.7 0.4 0.6
C 1.7045 -0.8419 0.3099 -1.6 0.9 -0.8
C 1.9943 -2.2100 0.3528 1.5 -1.8 0.4
C 3.1676 -2.6458 0.9812 -0.9 -0.1 -0.7
C 3.9967 -1.7087 1.6025 0.3 -0.9 -0.1
C 0.9023 -3.0637 -0.1937 -0.4 0.0 0.5
C 0.4887 -2.5509 -1.5323 -0.2 -2.1 -1.1
C 0.2260 -1.1766 -1.5421 0.0 0.7 1.4
C -0.5200 -0.5853 -2.5870 -0.6 0.2 -1.1
C -0.8257 -1.3726 -3.6935 -0.2 1.5 0.8
C -0.4723 -2.7260 -3.7387 0.2 -0.3 -0.2
C 0.1612 -3.3280 -2.6490 0.8 0.2 1.4
H 4.2504 0.3709 2.1824 -0.1 -0.3 -0.1
H 3.4195 -3.7074 0.9649 -0.1 0.3 0.2
H 4.9272 -2.0281 2.0742 -0.3 0.0 -0.1
H 1.1374 -4.1239 -0.2035 -0.1 0.0 0.2
H -1.3620 -0.9022 -4.5157 0.1 -0.2 0.1
H -0.7166 -3.3103 -4.6234 0.0 0.1 0.2
H 0.4029 -4.3914 -2.6459 -0.2 0.3 0.0
N 0.5931 -0.4200 -0.4294 1.0 -0.3 0.0
Os -1.1193 -0.0158 0.8666 -0.2 -0.8 -0.1
C 1.9334 1.4940 1.1808 -0.1 0.1 -0.1
H 1.8624 1.9823 0.1976 0.1 -0.1 0.2
H 2.5649 2.0989 1.8399 0.0 0.0 -0.2
C -0.9270 0.8498 -2.4351 0.0 0.1 -0.1
H -0.0405 1.4985 -2.3602 -0.2 -0.2 -0.1
H -1.5410 1.1641 -3.2860 0.2 0.1 0.1
P 0.2223 1.4775 1.9026 1.5 0.4 1.7
P -1.9166 1.1546 -0.8898 -1.3 1.2 -2.4
C -3.6037 0.7234 -1.4234 0.0 0.1 0.0
H -4.2962 1.0070 -0.6207 0.0 -0.1 -0.2
H -3.8601 1.2614 -2.3458 0.0 -0.1 0.3
H -3.6616 -0.3595 -1.5804 -0.1 0.3 0.0
C -1.9548 2.9739 -0.8166 -0.1 0.0 0.0
H -2.5035 3.3636 -1.6846 0.2 0.0 0.2
H -2.4755 3.2726 0.1013 0.1 0.0 -0.2
H -0.9382 3.3832 -0.8143 -0.2 0.0 0.0
C 0.5039 0.8636 3.5974 0.2 0.1 0.1
H 1.3689 1.3648 4.0502 -0.2 0.0 0.0
H -0.3977 1.0669 4.1903 0.2 -0.1 -0.1
H 0.6788 -0.2183 3.5626 -0.1 0.3 0.1
C -0.2054 3.2253 2.1381 -0.1 0.0 -0.1
H -1.2044 3.2717 2.5919 0.2 0.1 -0.1
H 0.5237 3.6931 2.8135 -0.2 -0.1 -0.2
H -0.2167 3.7571 1.1806 0.0 -0.1 0.3
C -2.5287 0.5645 1.9589 -3.1 0.8 2.6
O -3.4136 0.9497 2.6246 2.7 -1.0 -2.1
H -0.0146 -2.8126 0.4677 1.2 -0.9 -0.7
Br -2.4102 -2.0644 0.1638 0.3 -0.1 0.2
```
Forces are in eV/Å.

HOMO energy (spin up / spin down) (eV): -12.74 / -14.92
Energy (eV): -115739.311
Total charge: +2
Molar mass (g/mol): 626.50
Lowest unoccupied orbital energy (spin up / spin down) (eV): -6.0 / -10.7
Orbital gap (spin up / spin down) (eV): 6.8 / 4.2
2S+1: 5

Mulliken population analysis, charges in e, atoms 1 to 8: number 1, C, carries -0.8209; number 2, C, carries 0.3861; number 3, C, carries 0.6810; number 4, C, carries 0.3476; number 5, C, carries -1.0764; number 6, C, carries -0.6182; number 7, C, carries -0.2508; number 8, C, carries 0.3865

Record 2
The following is a DFT calculation (ωB97M-V/def2-TZVPD) of the molecule C20H24Cl2N2O2.

Geometry as XYZ:
```
50
Properties=species:S:1:pos:R:3:forces:R:3
C -3.2331 0.1410 7.2530 -0.6 -0.3 -0.5
C -2.5711 -1.0953 6.6604 -0.5 0.8 -1.3
Cl -1.6352 -1.8067 7.9594 0.5 -0.7 0.4
C -1.6906 -0.6856 5.4802 0.5 -0.4 -0.6
N -0.8596 -1.7735 4.9250 1.5 -0.2 0.6
C -1.5021 -2.9884 4.4329 1.6 1.7 -0.6
O -2.3368 -2.5510 3.3683 -1.4 -0.7 -1.6
C -1.7115 -1.9095 2.3066 2.0 0.6 0.4
C -2.2313 -1.8759 0.9919 1.2 0.9 -0.3
C -1.5084 -1.2538 -0.0480 -1.7 -1.0 -0.1
C -0.2603 -0.6797 0.1597 1.0 0.2 0.2
C 0.4948 -0.0650 -0.8906 1.2 0.9 0.0
C 1.7649 0.4767 -0.6257 -1.5 -0.7 -0.8
C 2.3197 0.2601 0.6356 -0.1 -0.2 1.3
C 1.5792 -0.2819 1.6683 2.0 0.6 -0.1
C 0.2848 -0.7489 1.4760 -0.7 0.2 -1.1
C -0.4575 -1.2935 2.5131 -1.4 -1.2 1.1
C 0.1256 -1.2942 3.9092 -0.8 -0.7 0.5
O 2.5102 1.1606 -1.5624 -0.5 0.2 -0.5
C 1.7288 1.7528 -2.6259 -0.8 -1.1 0.2
N 0.8396 0.7190 -3.2194 0.7 0.6 0.1
C 0.2830 1.0377 -4.5462 0.4 -0.5 0.4
C 0.1401 -0.2677 -5.3805 0.1 0.8 -1.1
C 0.4245 -0.0605 -6.9047 -0.3 0.8 0.5
Cl -1.5325 -0.9337 -5.1677 0.2 0.0 -0.1
C -0.0940 0.0661 -2.2704 0.7 0.4 -0.2
H -3.8560 -0.2511 8.0636 0.1 0.7 0.1
H -2.4473 0.8196 7.5857 -0.2 0.0 0.3
H -3.8713 0.6754 6.5211 0.3 -0.4 0.3
H -3.3411 -1.8092 6.3149 0.4 0.1 0.3
H -1.0411 0.1726 5.7817 -0.2 -0.9 -0.1
-- stop --

Exercise:
The reader should transcribe the whole of the calculation results earlier on exactly.

Worked solution:
Record 1
The following is a DFT calculation (ωB97M-V/def2-TZVPD) of a structure of composition C20H24BrNOOsP2.

Geometry as XYZ:
```
50
Properties=species:S:1:pos:R:3:forces:R:3
C 3.6346 -0.3600 1.6562 -1.3 1.6 -0.2
C 2.4614 0.0911 1.0587 0.7 0.4 0.6
C 1.7045 -0.8419 0.3099 -1.6 0.9 -0.8
C 1.9943 -2.2100 0.3528 1.5 -1.8 0.4
C 3.1676 -2.6458 0.9812 -0.9 -0.1 -0.7
C 3.9967 -1.7087 1.6025 0.3 -0.9 -0.1
C 0.9023 -3.0637 -0.1937 -0.4 0.0 0.5
C 0.4887 -2.5509 -1.5323 -0.2 -2.1 -1.1
C 0.2260 -1.1766 -1.5421 0.0 0.7 1.4
C -0.5200 -0.5853 -2.5870 -0.6 0.2 -1.1
C -0.8257 -1.3726 -3.6935 -0.2 1.5 0.8
C -0.4723 -2.7260 -3.7387 0.2 -0.3 -0.2
C 0.1612 -3.3280 -2.6490 0.8 0.2 1.4
H 4.2504 0.3709 2.1824 -0.1 -0.3 -0.1
H 3.4195 -3.7074 0.9649 -0.1 0.3 0.2
H 4.9272 -2.0281 2.0742 -0.3 0.0 -0.1
H 1.1374 -4.1239 -0.2035 -0.1 0.0 0.2
H -1.3620 -0.9022 -4.5157 0.1 -0.2 0.1
H -0.7166 -3.3103 -4.6234 0.0 0.1 0.2
H 0.4029 -4.3914 -2.6459 -0.2 0.3 0.0
N 0.5931 -0.4200 -0.4294 1.0 -0.3 0.0
Os -1.1193 -0.0158 0.8666 -0.2 -0.8 -0.1
C 1.9334 1.4940 1.1808 -0.1 0.1 -0.1
H 1.8624 1.9823 0.1976 0.1 -0.1 0.2
H 2.5649 2.0989 1.8399 0.0 0.0 -0.2
C -0.9270 0.8498 -2.4351 0.0 0.1 -0.1
H -0.0405 1.4985 -2.3602 -0.2 -0.2 -0.1
H -1.5410 1.1641 -3.2860 0.2 0.1 0.1
P 0.2223 1.4775 1.9026 1.5 0.4 1.7
P -1.9166 1.1546 -0.8898 -1.3 1.2 -2.4
C -3.6037 0.7234 -1.4234 0.0 0.1 0.0
H -4.2962 1.0070 -0.6207 0.0 -0.1 -0.2
H -3.8601 1.2614 -2.3458 0.0 -0.1 0.3
H -3.6616 -0.3595 -1.5804 -0.1 0.3 0.0
C -1.9548 2.9739 -0.8166 -0.1 0.0 0.0
H -2.5035 3.3636 -1.6846 0.2 0.0 0.2
H -2.4755 3.2726 0.1013 0.1 0.0 -0.2
H -0.9382 3.3832 -0.8143 -0.2 0.0 0.0
C 0.5039 0.8636 3.5974 0.2 0.1 0.1
H 1.3689 1.3648 4.0502 -0.2 0.0 0.0
H -0.3977 1.0669 4.1903 0.2 -0.1 -0.1
H 0.6788 -0.2183 3.5626 -0.1 0.3 0.1
C -0.2054 3.2253 2.1381 -0.1 0.0 -0.1
H -1.2044 3.2717 2.5919 0.2 0.1 -0.1
H 0.5237 3.6931 2.8135 -0.2 -0.1 -0.2
H -0.2167 3.7571 1.1806 0.0 -0.1 0.3
C -2.5287 0.5645 1.9589 -3.1 0.8 2.6
O -3.4136 0.9497 2.6246 2.7 -1.0 -2.1
H -0.0146 -2.8126 0.4677 1.2 -0.9 -0.7
Br -2.4102 -2.0644 0.1638 0.3 -0.1 0.2
```
Forces are in eV/Å.

HOMO energy (spin up / spin down) (eV): -12.74 / -14.92
Energy (eV): -115739.311
Total charge: +2
Molar mass (g/mol): 626.50
Lowest unoccupied orbital energy (spin up / spin down) (eV): -6.0 / -10.7
Orbital gap (spin up / spin down) (eV): 6.8 / 4.2
2S+1: 5

Mulliken population analysis, charges in e, atoms 1 to 8: number 1, C, carries -0.8209; number 2, C, carries 0.3861; number 3, C, carries 0.6810; number 4, C, carries 0.3476; number 5, C, carries -1.0764; number 6, C, carries -0.6182; number 7, C, carries -0.2508; number 8, C, carries 0.3865

Record 2
The following is a DFT calculation (ωB97M-V/def2-TZVPD) of the molecule C20H24Cl2N2O2.

Geometry as XYZ:
```
50
Properties=species:S:1:pos:R:3:forces:R:3
C -3.2331 0.1410 7.2530 -0.6 -0.3 -0.5
C -2.5711 -1.0953 6.6604 -0.5 0.8 -1.3
Cl -1.6352 -1.8067 7.9594 0.5 -0.7 0.4
C -1.6906 -0.6856 5.4802 0.5 -0.4 -0.6
N -0.8596 -1.7735 4.9250 1.5 -0.2 0.6
C -1.5021 -2.9884 4.4329 1.6 1.7 -0.6
O -2.3368 -2.5510 3.3683 -1.4 -0.7 -1.6
C -1.7115 -1.9095 2.3066 2.0 0.6 0.4
C -2.2313 -1.8759 0.9919 1.2 0.9 -0.3
C -1.5084 -1.2538 -0.0480 -1.7 -1.0 -0.1
C -0.2603 -0.6797 0.1597 1.0 0.2 0.2
C 0.4948 -0.0650 -0.8906 1.2 0.9 0.0
C 1.7649 0.4767 -0.6257 -1.5 -0.7 -0.8
C 2.3197 0.2601 0.6356 -0.1 -0.2 1.3
C 1.5792 -0.2819 1.6683 2.0 0.6 -0.1
C 0.2848 -0.7489 1.4760 -0.7 0.2 -1.1
C -0.4575 -1.2935 2.5131 -1.4 -1.2 1.1
C 0.1256 -1.2942 3.9092 -0.8 -0.7 0.5
O 2.5102 1.1606 -1.5624 -0.5 0.2 -0.5
C 1.7288 1.7528 -2.6259 -0.8 -1.1 0.2
N 0.8396 0.7190 -3.2194 0.7 0.6 0.1
C 0.2830 1.0377 -4.5462 0.4 -0.5 0.4
C 0.1401 -0.2677 -5.3805 0.1 0.8 -1.1
C 0.4245 -0.0605 -6.9047 -0.3 0.8 0.5
Cl -1.5325 -0.9337 -5.1677 0.2 0.0 -0.1
C -0.0940 0.0661 -2.2704 0.7 0.4 -0.2
H -3.8560 -0.2511 8.0636 0.1 0.7 0.1
H -2.4473 0.8196 7.5857 -0.2 0.0 0.3
H -3.8713 0.6754 6.5211 0.3 -0.4 0.3
H -3.3411 -1.8092 6.3149 0.4 0.1 0.3
H -1.0411 0.1726 5.7817 -0.2 -0.9 -0.1